**Listing**
<<<
(1)
The following is a computed X-ray diffraction stick pattern of TbCeO4. It was derived from DFT lattice parameters and positions (PBE), using CuKα.
Intensities are scaled so that the largest is 100.

Top 10 peaks for 15 to 90 degrees two-theta, most intense first:
d/Å	I/Imax
3.157	100
1.914	35
1.674	32
2.792	21
1.975	19
1.601	14
1.244	12
1.128	12
2.627	9
1.578	9

a = 7.668 Å, b = 7.668 Å, c = 7.668 Å
α = 118.01°, β = 118.01°, γ = 93.49°
Fractional positions:
Tb 0.000 0.000 0.000
Tb 0.000 0.000 0.500
Tb 0.000 0.500 0.000
Tb 0.500 0.000 0.500
Ce 0.000 0.500 0.500
Ce 0.500 0.000 0.000
Ce 0.500 0.500 0.000
Ce 0.500 0.500 0.500
O 0.122 0.372 0.750
O 0.125 0.875 0.250
O 0.129 0.379 0.257
O 0.129 0.871 0.750
O 0.372 0.122 0.250
O 0.375 0.625 0.750
O 0.379 0.129 0.757
O 0.379 0.621 0.250
O 0.621 0.379 0.750
O 0.621 0.871 0.243
O 0.625 0.375 0.250
O 0.628 0.878 0.750
O 0.871 0.129 0.250
O 0.871 0.621 0.743
O 0.875 0.125 0.750
O 0.878 0.628 0.250

=====

(2)
The following is a computed X-ray diffraction stick pattern of PrAs2Pd2. It was derived from DFT lattice parameters and positions (PBE), using CuKα.
Intensities are scaled so that the largest is 100.

Top 10 peaks for 15 to 90 degrees two-theta, most intense first:
d/Å	I/Imax
2.647	100
2.167	55
2.722	47
1.696	23
1.326	23
1.889	19
1.533	18
1.993	17
1.424	15
1.519	15

a = 6.077 Å, b = 6.077 Å, c = 6.077 Å
α = 138.21°, β = 138.21°, γ = 60.58°
Fractional positions:
Pr 0.000 0.000 0.000
As 0.379 0.379 0.000
As 0.621 0.621 0.000
Pd 0.250 0.750 0.500
Pd 0.750 0.250 0.500

=====

(3)
The following is a computed X-ray diffraction stick pattern of Ta8VC4S8. It was derived from DFT lattice parameters and positions (PBE), using CuKα.
Intensities are scaled so that the largest is 100.

Top 10 peaks for 15 to 90 degrees two-theta, most intense first:
d/Å	I/Imax
2.143	100
2.856	90
2.508	83
2.623	72
1.629	47
2.263	46
1.658	45
1.312	26
1.434	25
1.311	16

a = 9.396 Å, b = 9.396 Å, c = 9.396 Å
α = 41.34°, β = 41.34°, γ = 41.34°
Fractional positions:
Ta 0.120 0.622 0.622
Ta 0.122 0.122 0.122
Ta 0.378 0.378 0.880
Ta 0.378 0.880 0.378
Ta 0.622 0.120 0.622
Ta 0.622 0.622 0.120
Ta 0.878 0.878 0.878
Ta 0.880 0.378 0.378
V 0.000 0.000 0.000
C 0.000 0.000 0.500
C 0.000 0.500 0.000
C 0.500 0.000 0.000
C 0.500 0.500 0.500
S 0.225 0.225 0.722
S 0.225 0.722 0.225
S 0.275 0.275 0.275
S 0.278 0.775 0.775
S 0.722 0.225 0.225
S 0.725 0.725 0.725
S 0.775 0.278 0.775
S 0.775 0.775 0.278

=====

(4)
The following is a computed X-ray diffraction stick pattern of Ta2NbRh. It was derived from DFT lattice parameters and positions (PBE), using CuKα.
Intensities are scaled so that the largest is 100.

Top 7 peaks for 15 to 90 degrees two-theta, most intense first:
d/Å	I/Imax
2.292	100
1.323	35
1.621	17
1.146	11
3.242	10
1.450	4
1.872	3

a = 4.584 Å, b = 4.584 Å, c = 4.584 Å
α = 60.00°, β = 60.00°, γ = 60.00°
Fractional positions:
Ta 0.250 0.250 0.250
Ta 0.750 0.750 0.750
Nb 0.000 0.000 0.000
Rh 0.500 0.500 0.500

=====

(5)
The following is a computed X-ray diffraction stick pattern of CeNdI4. It was derived from DFT lattice parameters and positions (PBE), using CuKα.
Intensities are scaled so that the largest is 100.

Top 10 peaks for 15 to 90 degrees two-theta, most intense first:
d/Å	I/Imax
3.234	100
3.126	92
2.933	81
2.744	81
2.683	64
2.344	64
2.793	55
2.967	51
2.507	50
3.023	43

a = 8.906 Å, b = 8.906 Å, c = 7.681 Å
α = 110.66°, β = 110.66°, γ = 110.21°
Fractional positions:
Ce 0.005 0.995 0.750
Ce 0.995 0.005 0.250
Nd 0.369 0.631 0.750
Nd 0.631 0.369 0.250
I 0.055 0.694 0.410
I 0.254 0.374 0.245
I 0.306 0.945 0.090
I 0.374 0.254 0.745
I 0.626 0.746 0.255
I 0.694 0.055 0.910
I 0.746 0.626 0.755
I 0.945 0.306 0.590

=====

(6)
The following is a computed X-ray diffraction stick pattern of KNaH6PtC4N4O3. It was derived from DFT lattice parameters and positions (PBE), using CuKα.
Intensities are scaled so that the largest is 100.

Top 10 peaks for 15 to 90 degrees two-theta, most intense first:
d/Å	I/Imax
4.484	100
>>>

**Job**
Next, search the contents earlier on for the word "Ta" and quote each line that has it.

**Reply**
Ta 0.120 0.622 0.622
Ta 0.122 0.122 0.122
Ta 0.378 0.378 0.880
Ta 0.378 0.880 0.378
Ta 0.622 0.120 0.622
Ta 0.622 0.622 0.120
Ta 0.878 0.878 0.878
Ta 0.880 0.378 0.378
Ta 0.250 0.250 0.250
Ta 0.750 0.750 0.750